Work order
Now search the entries further below for the word "energy" and quote each line that has it.
Entries
/*
This record from Alexandria describes a geometry-optimized ScGe2WO structure. The functional is PBE+U.

Results
- total energy (eV/atom) = -5.6972
- DOS(E_F) (states/eV/atom) = 0.30

Lattice parameters (Å, degrees): 4.677 4.677 3.964 90.00 90.00 90.00
Space group P4/mmm (No. 123)
Asymmetric unit:
1 Sc 0.000 0.000 0.000 [1 per cell]
2 Ge 0.000 0.500 0.500 [2 per cell]
3 W 0.500 0.500 0.000 [1 per cell]
4 O 0.500 0.500 0.500 [1 per cell]

~~~~~

# Tl2NiBiF6, relaxed, DFT GGA+U
data_Tl2NiBiF6
_symmetry_space_group_name_H-M 'I m m m'
_symmetry_Int_Tables_number 71
_symmetry_space_group_name_Hall '-I 2 2'
_cell_length_a 5.856
_cell_length_b 6.889
_cell_length_c 8.719
_cell_angle_alpha 90.00
_cell_angle_beta 90.00
_cell_angle_gamma 90.00
loop_
_atom_site_label
_atom_site_type_symbol
_atom_site_fract_x
_atom_site_fract_y
_atom_site_fract_z
_atom_site_occupancy
Tl1 Tl 0.000 0.000 0.240 1
Ni1 Ni 0.000 0.500 0.500 1
Bi1 Bi 0.000 0.500 0.000 1
F1 F 0.000 0.500 0.265 1
F2 F 0.242 0.201 0.000 1
# Raw total energy: -82.46 eV per cell
*/
Outcome
- total energy (eV/atom) = -5.6972
# Raw total energy: -82.46 eV per cell